Wanted:
Return the lines underneath unchanged.
Input:
........
1.
Tb2BiF: simulated powder X-ray diffraction pattern (Cu Kα), based on a DFT-relaxed cell (GGA-PBE, Alexandria).
Neutral-atom scattering factors, no anomalous dispersion.

Structure:
Cell: 7.043 7.043 7.043 Å, 34.18 34.18 34.18°
Sites, in units of the cell vectors:
Tb 0.234 0.234 0.234
Tb 0.766 0.766 0.766
Bi 0.000 0.000 0.000
F 0.500 0.500 0.500

The 10 most intense peaks (2θ = 10–90°), sorted by position:
d_spacing	I (rel.)
3.528	29
2.907	100
2.662	33
2.208	11
2.070	42
2.042	28
1.686	20
1.510	20
1.406	10
1.307	17

***

2.
K3UF6: simulated powder X-ray diffraction pattern (Cu Kα), based on a DFT-relaxed cell (GGA-PBE, Alexandria).
Neutral-atom scattering factors, no anomalous dispersion.

Structure:
Cell: 7.553 7.192 6.263 Å, 67.90 61.91 50.19°
Sites, in units of the cell vectors:
K 0.000 0.000 0.000
K 0.250 0.250 0.250
K 0.750 0.750 0.750
U 0.500 0.500 0.500
F 0.164 0.580 0.836
F 0.264 0.736 0.264
F 0.420 0.836 0.580
F 0.580 0.164 0.420
F 0.736 0.264 0.736
F 0.836 0.420 0.164

The 10 most intense peaks (2θ = 10–90°), sorted by position:
d_spacing	I (rel.)
5.897	36
5.491	100
4.720	22
3.685	47
3.376	62
3.321	22
2.358	24
2.190	19
2.137	32
1.934	24
........
Solution:
1.
Tb2BiF: simulated powder X-ray diffraction pattern (Cu Kα), based on a DFT-relaxed cell (GGA-PBE, Alexandria).
Neutral-atom scattering factors, no anomalous dispersion.

Structure:
Cell: 7.043 7.043 7.043 Å, 34.18 34.18 34.18°
Sites, in units of the cell vectors:
Tb 0.234 0.234 0.234
Tb 0.766 0.766 0.766
Bi 0.000 0.000 0.000
F 0.500 0.500 0.500

The 10 most intense peaks (2θ = 10–90°), sorted by position:
d_spacing	I (rel.)
3.528	29
2.907	100
2.662	33
2.208	11
2.070	42
2.042	28
1.686	20
1.510	20
1.406	10
1.307	17

***

2.
K3UF6: simulated powder X-ray diffraction pattern (Cu Kα), based on a DFT-relaxed cell (GGA-PBE, Alexandria).
Neutral-atom scattering factors, no anomalous dispersion.

Structure:
Cell: 7.553 7.192 6.263 Å, 67.90 61.91 50.19°
Sites, in units of the cell vectors:
K 0.000 0.000 0.000
K 0.250 0.250 0.250
K 0.750 0.750 0.750
U 0.500 0.500 0.500
F 0.164 0.580 0.836
F 0.264 0.736 0.264
F 0.420 0.836 0.580
F 0.580 0.164 0.420
F 0.736 0.264 0.736
F 0.836 0.420 0.164

The 10 most intense peaks (2θ = 10–90°), sorted by position:
d_spacing	I (rel.)
5.897	36
5.491	100
4.720	22
3.685	47
3.376	62
3.321	22
2.358	24
2.190	19
2.137	32
1.934	24